File:
┌──
Li2CrCo3O8: computed X-ray powder pattern (copper Kα), based on a cell relaxed with GGA+U.

Top 8 peaks for 2θ = 10–90°, in order of rising 2θ:
- 18.66°, intensity 54
- 18.96°, intensity 100
- 36.33°, intensity 16
- 36.66°, intensity 35
- 36.82°, intensity 20
- 44.53°, intensity 79
- 64.36°, intensity 23
- 65.23°, intensity 23

Atomic structure:
abc: 5.7908 5.7908 5.7908
angles: 59.21 59.21 59.21
Element x y z (fractional)
Li1 0.1228 0.1228 0.1228
Li2 0.8772 0.8772 0.8772
Cr1 0.5000 0.5000 0.5000
Co1 0.0000 0.5000 0.5000
Co2 0.5000 0.0000 0.5000
Co3 0.5000 0.5000 0.0000
O1 0.2551 0.2551 0.7073
O2 0.2551 0.7073 0.2551
O3 0.2629 0.2629 0.2629
O4 0.2927 0.7449 0.7449
O5 0.7073 0.2551 0.2551
O6 0.7371 0.7371 0.7371
O7 0.7449 0.2927 0.7449
O8 0.7449 0.7449 0.2927



Li4Cr3CoO8: computed X-ray powder pattern (copper Kα), based on a cell relaxed with GGA+U.

Top 8 peaks for 2θ = 10–90°, in order of rising 2θ:
- 18.36°, intensity 100
- 35.88°, intensity 40
- 43.49°, intensity 78
- 47.58°, intensity 12
- 57.40°, intensity 14
- 63.00°, intensity 20
- 63.40°, intensity 21
- 66.62°, intensity 14

Atomic structure:
abc: 5.0822 5.1181 5.8688
angles: 106.57 90.03 99.47
Element x y z (fractional)
Li1 0.2385 0.4967 0.3777
Li2 0.2513 0.4912 0.8689
Li3 0.7487 0.5088 0.1311
Li4 0.7615 0.5033 0.6223
Cr1 0.0000 0.0000 0.0000
Cr2 0.4993 0.9995 0.2527
Cr3 0.5007 0.0005 0.7473
Co1 0.0000 0.0000 0.5000
O1 0.1250 0.7764 0.2008
O2 0.1267 0.7779 0.6884
O3 0.3613 0.2234 0.5553
O4 0.3722 0.2274 0.0568
O5 0.6278 0.7726 0.9432
O6 0.6387 0.7766 0.4447
O7 0.8733 0.2221 0.3116
O8 0.8750 0.2236 0.7992



Li4Cr3CoO8: computed X-ray powder pattern (copper Kα), based on a cell relaxed with GGA+U.

Top 8 peaks for 2θ = 10–90°, in order of rising 2θ:
- 18.37°, intensity 100
- 35.88°, intensity 40
- 37.51°, intensity 12
- 43.50°, intensity 78
- 47.59°, intensity 12
- 57.41°, intensity 14
- 63.04°, intensity 14
- 63.40°, intensity 21

Atomic structure:
abc: 5.1177 7.7631 7.7642
angles: 81.74 83.74 71.09
Element x y z (fractional)
Li1 0.0022 0.4358 0.1902
Li2 0.0059 0.1854 0.9346
Li3 0.0059 0.6841 0.4433
Li4 0.0090 0.9329 0.6884
Li5 0.9910 0.0671 0.3116
Li6 0.9941 0.3159 0.5567
Li7 0.9941 0.8146 0.0654
Li8 0.9978 0.5642 0.8098
Cr1 0.4987 0.7462 0.2545
Cr2 0.5000 0.0000 0.5000
Cr3 0.4998 0.1264 0.1261
Cr4 0.5000 0.5000 0.0000
Cr5 0.5002 0.8736 0.8739
Cr6 0.5013 0.2538 0.7455
Co1 0.4999 0.3760 0.3758
Co2 0.5001 0.6240 0.6242
O1 0.2730 0.0901 0.7172
O2 0.2732 0.3391 0.9661
O3 0.2726 0.9628 0.0942
O4 0.2758 0.5830 0.2224
O5 0.2759 0.8339 0.4733
O6 0.2770 0.2185 0.3442
O7 0.2766 0.7114 0.8374
O8 0.2832 0.4675 0.5864
O9 0.7168 0.5325 0.4136
O10 0.7234 0.2886 0.1626
O11 0.7230 0.7815 0.6558
O12 0.7241 0.1661 0.5267
O13 0.7242 0.4170 0.7776
O14 0.7274 0.0372 0.9058
O15 0.7268 0.6609 0.0339
O16 0.7270 0.9099 0.2828



Li2CrCo3O8: computed X-ray powder pattern (copper Kα), based on a cell relaxed with GGA+U.

Top 8 peaks for 2θ = 10–90°, in order of rising 2θ:
- 18.86°, intensity 100
- 36.58°, intensity 46
- 38.27°, intensity 12
- 44.48°, intensity 52
- 48.71°, intensity 10
- 58.90°, intensity 19
- 64.72°, intensity 31
- 68.08°, intensity 13

Atomic structure:
abc: 8.1479 8.1479 8.1479
angles: 90.05 90.05 90.05
Element x y z (fractional)
Li1 0.1234 0.1234 0.1234
Li2 0.1238 0.6246 0.6268
Li3 0.3732 0.3754 0.8762
Li4 0.3754 0.8762 0.3732
Li5 0.6246 0.6268 0.1238
Li6 0.6268 0.1238 0.6246
Li7 0.8762 0.3732 0.3754
Li8 0.8766 0.8766 0.8766
Cr1 0.0000 0.7511 0.2489
Cr2 0.2489 0.0000 0.7511
Cr3 0.5000 0.5000 0.5000
Cr4 0.7511 0.2489 0.0000
Co1 0.0000 0.2537 0.7463
Co2 0.0041 0.5000 0.9959
Co3 0.2455 0.2490 0.4968
Co4 0.2490 0.4968 0.2455
Co5 0.2537 0.7463 0.0000
Co6 0.4968 0.2455 0.2490
Co7 0.5000 0.9959 0.0041
Co8 0.5032 0.7510 0.7545
Co9 0.7463 0.0000 0.2537
Co10 0.7510 0.7545 0.5032
Co11 0.7545 0.5032 0.7510
Co12 0.9959 0.0041 0.5000
O1 0.0048 0.0175 0.7319
O2 0.0136 0.2368 0.5117
O3 0.0175 0.7319 0.0048
O4 0.0192 0.5031 0.2305
O5 0.2305 0.0192 0.5031
O6 0.2353 0.2454 0.7267
└──

What to do:
Search the lines further above for the word "O8" and type out each line that has it.

Here it is:
O8 0.7449 0.7449 0.2927
O8 0.8750 0.2236 0.7992
O8 0.2832 0.4675 0.5864